Why Talk to a Doctor Online About Cold and Flu Symptoms

Autumn is well and truly in the air and we’re already seeing colder nights and cooler evenings creeping up upon us. Unfortunately, with the colder weather also comes cold and flu season and with the newest sub-variant of Omicron threatening to take hold, every sniffle and cough feels like impending doom. Thankfully, with the advent of online healthcare services, you can now get help for your cold and flu (or covid) symptoms by talking to a doctor online without ever stepping foot inside a doctor’s clinic!

How online healthcare services work

_The entry is interrupted by data records_
+++
# 1
Molecular formula: C3H2O2S2
Method: DFT, ωB97M-V with the def2-TZVPD basis set

```
! RIJCOSX wB97M-V def2-TZVPD def2/J DEFGRID3
* xyz 0 1
C 1.03 1.12 0.05
C 0.69 -1.11 0.82
C -1.39 0.31 0.22
O -2.35 0.49 0.92
O -0.33 -1.23 -1.63
S -0.32 1.62 -0.56
S -0.67 -1.43 -0.20
H 1.78 1.80 -0.02
H 1.56 -1.56 0.40
*
```

Its HOMO energy is -8.787 eV. For the LUMO energy, the calculation gives -1.5 eV. The value obtained for the relative energy (zero: lowest compared OMol25 entry of this formula, charge and spin) is 165.8 kcal/mol. The calculation puts the gap between HOMO and LUMO at 0.2670 Eh.

Löwdin atomic charge list, values in e, 4 entries: atom 1 (C): -0.303, atom 2 (C): -0.212, atom 3 (C): -0.694, atom 4 (O): 0.049

***

# 2
Molecular formula: C3H2O2Y
Method: DFT, ωB97M-V with the def2-TZVPD basis set

```
! RIJCOSX wB97M-V def2-TZVPD def2/J DEFGRID3
* xyz 1 1
H 3.45 -0.71 1.00
O -0.58 -0.80 -0.20
O -0.27 1.25 -0.58
C -1.65 -0.09 0.37
C -1.58 1.22 0.03
C 0.29 0.08 -0.62
H -2.46 -0.72 0.72
Y 2.81 -0.23 -0.72
*
```

Its HOMO energy is -11.495 eV. For the LUMO energy, the calculation gives -7.1 eV. The value obtained for the relative energy (zero: lowest compared OMol25 entry of this formula, charge and spin) is 46.8 kcal/mol. The calculation puts the gap between HOMO and LUMO at 0.1602 Eh.

Löwdin atomic charge list, values in e, 4 entries: atom 1 (H): -0.171, atom 2 (O): -0.039, atom 3 (O): -0.111, atom 4 (C): -0.120

* * * * *

Entry 1:
Density functional theory data (ωB97M-V/def2-TZVPD) for a structure of composition C33H40IN4OPTi at a distorted geometry.

Summary:
* lowest unoccupied orbital energy (spin up / spin down): -0.466 / -0.466 eV
* orbital gap (spin up / spin down): 0.19770 / 0.19768 Eh
* energy relative to the best compared isomer or geometry (same formula, charge and spin): 33.5 kcal/mol
* E: -3064.28898 Eh
* HOMO level (spin up / spin down): -5.8456 / -5.8455 eV

Structure (XYZ):
```
81
C33H40IN4OPTi (ωB97M-V/def2-TZVPD)
Ti 0.16914 -0.17704 -1.09520
C 2.42967 -1.64174 0.49453
C 2.28940 -2.30205 -0.88975
N 1.98254 -1.27685 -1.89198
C 3.13362 -0.42210 -2.23120
C 2.72236 1.02585 -2.48532
N 1.66757 1.47486 -1.55954
C 2.13109 1.99084 -0.25975
C 2.62333 0.85628 0.63330
N 1.74949 -0.32905 0.54276
H 1.98781 -2.28815 1.25285
H 3.48063 -1.50675 0.75923
H 3.20832 -2.84110 -1.14039
H 1.46402 -3.01112 -0.89486
H 1.63601 -1.72210 -2.74055
H 3.84831 -0.47982 -1.41106
H 3.63850 -0.80802 -3.12044
H 3.60264 1.67447 -2.41163
H 2.32330 1.10749 -3.49118
H 1.11912 2.20323 -2.00596
H 2.93227 2.72434 -0.40280
H 1.28484 2.48413 0.21746
H 3.63395 0.56286 0.35064
H 2.66340 1.21200 1.66484
H 1.12176 -0.33410 1.34273
C -2.14972 3.87041 5.87892
C -2.54416 2.54774 5.73556
C -2.02458 1.77475 4.70971
C -1.10470 2.31628 3.81317
C -0.70408 3.64157 3.97576
C -1.22669 4.41730 4.99968
P -0.38939 1.38272 2.42272
C -0.43950 -0.31755 3.09089
C 0.57722 -0.69414 3.97581
C 0.62470 -1.97849 4.48912
C -0.33305 -2.91307 4.10971
C -1.33977 -2.55264 3.22832
+++

Generally, you sign up to the service provider’s website (for free) and select the type of service you require. The services provided may differ from provider to provider, but most providers offer the following services:

- Video consultation with a registered doctor

- Get a medical certificate online

- Get a repeat prescription online

- Get a specialist or pathology referral online

- Live chat with a registered doctor.

Someone pasted quantum chemistry results at this point:
- - -
C18H17AuN3O7 as an isolated structure, computed with ωB97M-V/def2-TZVPD.

Last column: Mulliken charge in e.
Element x y z (Å)
1 Au -0.02 -1.36 0.25  0.642
2 O 2.48 -1.82 2.05  -0.683
3 C 2.43 -1.00 3.12  -0.040
4 C 3.55 -0.24 3.44  -0.507
5 C 3.53 0.60 4.53  -0.437
6 C 2.41 0.67 5.35  -0.508
7 C 1.28 -0.05 5.01  -0.495
8 C 1.27 -0.88 3.90  0.863
9 C -0.05 -1.42 3.36  0.415
10 O -1.08 -0.84 3.72  -0.822
11 O 0.03 -2.31 2.46  -0.907
12 H 1.59 -2.27 2.02  0.469
13 H 4.40 -0.29 2.78  0.424
14 H 4.39 1.22 4.74  0.384
15 H 2.41 1.32 6.21  0.384
16 H 0.38 0.03 5.60  0.434
17 O -1.79 -3.74 -2.61  -0.678
18 C -1.31 -2.68 -2.24  0.319
19 O -0.31 -2.56 -1.46  -0.638
20 C -1.89 -1.40 -2.86  0.367
21 C -1.85 -0.17 -2.22  -0.600
22 C -2.34 0.99 -2.82  -1.275
23 C -2.87 0.86 -4.08  1.087
24 O -3.42 1.83 -4.89  -0.493
25 C -3.78 1.17 -6.08  -0.225
26 O -3.53 -0.20 -5.96  -0.484
27 C -2.93 -0.37 -4.73  0.914
28 C -2.45 -1.51 -4.14  -1.015
29 H -1.44 -0.12 -1.22  0.563
30 H -2.31 1.94 -2.32  0.439
31 H -3.18 1.59 -6.91  0.236
32 H -4.84 1.34 -6.29  0.221
33 H -2.49 -2.48 -4.62  0.500
34 N -0.18 1.14 2.15  0.097
35 C 0.44 2.24 2.60  -0.249
36 C 1.48 2.51 1.74  -0.915
37 C 1.44 1.47 0.80  -0.419
38 N 0.44 0.65 1.08  -0.163
39 H -0.86 0.55 2.65  0.408
40 H 0.11 2.73 3.49  0.510
41 H 2.17 3.32 1.77  0.386
42 H 2.07 1.30 -0.05  0.468
43 N 1.88 -0.28 -2.46  -0.810
44 H 2.11 -0.69 -1.55  0.225
45 H 1.05 0.29 -2.32  0.299
46 H 1.58 -1.07 -3.02  0.307

Energy in Eh: -1522.86007
Charge: -1
E_LUMO in eV: 2.66
Energy above the lowest of the compared OMol25 structures with the same formula, charge and spin in kcal/mol: 17.8

---

C18H17BrN2O5RhS as an isolated structure, computed with ωB97M-V/def2-TZVPD.

Last column: Löwdin spin population.
Element x y z (Å)
1 Rh -0.19 -0.16 1.12  2.732
2 Br 2.67 -0.13 0.91  0.125
3 C 2.85 -0.05 2.81  0.003
4 C 4.11 -0.02 3.33  0.019
5 C 4.27 0.04 4.73  -0.005
6 C 3.17 0.08 5.55  0.020
7 C 1.87 0.05 5.01  0.009
8 C 0.72 0.09 5.85  0.065
9 C -0.54 0.08 5.34  0.013
10 C -0.73 0.01 3.94  0.123
11 C 0.36 -0.04 3.10  0.279
12 C 1.69 -0.02 3.61  0.055
13 H 4.98 -0.04 2.69  0.002
14 H 5.27 0.07 5.15  -0.001
15 H 3.29 0.12 6.62  0.001
16 H 0.87 0.15 6.92  0.003
17 H -1.40 0.13 5.99  0.000
18 H -1.74 0.02 3.54  0.013
19 C -3.83 -1.68 1.48  0.001
20 C -3.49 -0.51 0.62  0.015
21 N -2.31 0.06 0.49  0.107
22 C -2.44 1.08 -0.42  0.007
23 C -3.73 1.14 -0.85  0.001
24 N -4.37 0.13 -0.18  0.005
25 C -4.51 1.97 -1.81  0.000
26 O -3.85 2.92 -2.45  0.001
27 O -5.68 1.74 -1.95  0.001
28 C -1.23 1.84 -0.80  0.015
29 O -1.27 2.73 -1.63  0.021
30 O -0.15 1.44 -0.19  0.200
31 H -2.97 -1.94 2.09  0.000
32 H -4.11 -2.54 0.88  0.000
33 H -4.67 -1.44 2.13  0.000
34 H -5.36 -0.05 -0.30  0.001
35 H -2.89 2.94 -2.20  0.001
36 C -0.36 -3.97 -1.69  0.008
37 S -0.67 -2.26 -1.27  0.013
38 C 0.61 -1.47 -2.23  0.001
39 O -0.19 -2.18 0.18  0.143
40 H 0.67 -4.23 -1.45  0.000
41 H -0.56 -4.09 -2.76  0.001
42 H -1.05 -4.56 -1.10  0.000
43 H 0.39 -1.61 -3.29  0.000
- - -

Once you’ve selected the service you require, in this case having a video consultation with a registered doctor, you are typically asked to fill in a brief questionnaire including your personal details, medical and family history and the reason why you need an online consultation. You then choose the consult time and date of your convenience and pay a small fee that covers everything from the actual consultation to any prescriptions or certificates you may be given and just wait for your consultation time to roll around. Without even moving from your seat, you can then talk to a doctor online about your symptoms and get the help you need.

Benefits of online consultations

1. No need to travel

If your condition affects your mobility or you don’t have access to transport where you are, or even if you live in a remote area and the nearest doctor is an hour away, online doctors are the perfect solution. For an online consultation, all you need is a smart device with an internet connection and audio and video capabilities and a quiet place for the consultation.

2. Safe and convenient

Worried your cold and flu symptoms may actually be of COVID and afraid of infecting others at the doctor’s clinic? Or perhaps you’re scared someone else might have asymptomatic COVID at the doctor’s clinic and are trying to limit your exposire to people as much as possible. Regardless of the reason, online healthcare appointments allow you to have a safe and secure conversation with a registered doctor without putting either yourself or others at risk.

3. Save money

When the costs of filling up your tank or taking the bus or train to the doctor’s clinic, making babysitting arrangements for the time you’re away as well as the time you’ll spend away from work (often resulting in a loss of income for many individuals) in addition to the actual fee of the doctor are added up, it can result in a significant amount of money for a single visit. This is a major reason why so many people avoid going to the doctor’s when they clearly need to. With online healthcare services, the only money you’re spending is the small amount (usually under $40) you pay the service for the consultation.

4. Save time

When you minus the travelling time and the time you would normally expect to spend in the waiting room of your doctor’s clinic, all that’s left are the 10-15 minutes you’d spend actually talking to your doctor. This makes online health consultations an excellent option for those who work full-time, have extremely busy schedules or are working single parents. You can easily slip in a quick consultation with an online gp even into a packed schedule.

In short, when you have symptoms you’re concerned about but no time to book a doctor’s appointment, the best and most convenient option is to talk to a doctor online easily and quickly.